
NSF 2417823: Collaborative Research: CyberTraining: Implementation: Medium: CyberTraining on Accelerating Infrastructure Workloads using Next-Generation SmartNICs/DPUs

  • NSF Org: OAC Office of Advanced Cyberinfrastructure (OAC)
  • Award Number: 2417823
  • Start Date: August 1, 2024
  • End Date: July 31, 2027
  • Awarded Amount to Date: $790,000.00
  • Investigator(s): Elie Kfoury (Principal Investigator) Ana Hunsinger (Co-Principal Investigator) Jorge Crichigno (Co-Principal Investigator)
  • Sponsor: University of South Carolina at Columbia
  • NSF Program(s): CyberTraining - Training-based
  • Link to Official Webpage: NSF-2417823

In today's world, most data arrive at compute locations as packets from the network through a Network Interface Card (NIC). Traditional NICs are simple devices attached to a server, used to receive packets from the network and place them in the server's memory. Packets then wait for processing time by the general-purpose processor, or CPU, at the server. Recently, a new generation of NICs, known as SmartNICs, has emerged. SmartNICs allow programmers to offload certain tasks, such as network and security tasks, from the server's CPU to the SmartNIC. They also enable programmers to write customized applications running on the SmartNIC?s domain-specific processors at speeds that may be orders of magnitude faster than those running on the server's CPUs. These capabilities improve data processing performance, enhance security, and reduce the processing load on the server's CPUs. While large cloud providers are now using SmartNICs, campus networks and small- and medium-sized enterprises have yet to fully benefit from their advantages. An important barrier preventing the adoption of SmartNICs is the lack of engaging training materials for cyberinfrastructure contributors and professionals. This project aims to bridge that gap by developing hands-on virtual labs for instruction that are hosted on web-based platforms for easy and broad access. By providing accessible and practical training, the project will lower the barrier to innovation and promote progress on areas such as scientific applications requiring massive data transfers, machine learning relying on high processing speeds, and cybersecurity applications requiring massive traffic inspection.

The project has two overarching goals. The first project goal, contributing to the project's intellectual merit, is to advance the state of the art in SmartNIC training within the research community in order to promote and facilitate the broader adoption of SmartNICs among cyberinfrastructure professionals, contributors, and network owners. The project will develop training material in the form of virtual labs and companion material, including guided experiments and interactive electronic booklets, on technologies related to SmartNICs. The virtual labs will be used for workshops and self-paced training. These labs will enable cyberinfrastructure contributors (including developers and researchers) to learn how to implement offloaded applications on various SmartNICs. The virtual labs will also permit cyberinfrastructure professionals (including system administrators, research support staff, and facilitators) to learn how to deploy those applications, how to manage SmartNICs, and how to provide effective support. The virtual labs will be deployed on the NSF-funded FABRIC platform (NSF award #1935966) and on the Academic Cloud at the University of South Carolina, which will serve as training platforms. The virtual labs will cover open-source technologies that are compatible with commercial SmartNICs. The second project goal, contributing to its broader impact, is to incorporate virtual labs into educational curricula and instructional resources. The project will target associate, bachelor, and graduate programs. Two-year community colleges will use the virtual labs to train students on SmartNICs administration and operation, including the deployment of pre-developed applications. Four-year bachelor and graduate-level programs will use the virtual labs to provide in-depth training on SmartNIC programming, starting from the foundational principles to the development of advanced applications that accelerate data processing and analytics. Training activities for the two project goals include organizing workshops with cyberinfrastructure communities, including national and regional Research and Education Networks; professional development events with the NSF-funded Minority-Serving Cyberinfrastructure Consortium, a collaborative consortium that provides professional development and training opportunities to minority serving institutions; and train-the-trainer tutorials with centers supporting college instructors and students. Best practices and technical specifications produced by this project are incorporated into NSF's ACCESS Knowledge Base, to disseminate them to the broader community of researchers.

NSF 2403360: OAC Core: Enhancing Network Security by Implementing an ML Malware Detection and Classification Scheme in P4 Programmable Data Planes and SmartNICs

  • NSF Org: OAC Office of Advanced Cyberinfrastructure (OAC)
  • Award Number: 2403360
  • Start Date: July 1, 2024
  • End Date: June 30, 2027
  • Awarded Amount to Date: $599,999.00
  • Investigator(s): Jorge Crichigno (Principal Investigator), Elias Bou-Harb (Co-Principal Investigator), Elie Kfoury (Co-Principal Investigator)
  • Sponsor: University of South Carolina at Columbia
  • NSF Program(s): OAC-Advanced Cyberinfrast Core
  • Link to Official Webpage: NSF-2403360

The text is interrupted by calculated crystals:
+++
No. 1
Theoretical XRD peak list
Compound: UO5
Radiation: λ = 1.5418 Å (Cu Kα)
Structure: the PBE geometry in the Materials Project
No peak broadening, texture or thermal motion is included.

Structure:
Unit cell a=6.7152 b=6.7152 c=4.2912 alpha=90.00 beta=90.00 gamma=90.00
Atoms (fractional coordinates):
U1 0.0000 0.0000 0.0000
U2 0.5000 0.5000 0.5000
O1 0.0000 0.0000 0.5000
O2 0.0915 0.2592 0.0000
O3 0.2408 0.5915 0.5000
O4 0.2592 0.9085 0.0000
O5 0.4085 0.2408 0.5000
O6 0.5000 0.5000 0.0000
O7 0.5915 0.7592 0.5000
O8 0.7408 0.0915 0.0000
O9 0.7592 0.4085 0.5000
O10 0.9085 0.7408 0.0000

Most intense lines, 2θ from 10° to 90°, in order of rising 2θ:
2θ/deg, I_rel
18.69, 99
24.62, 100
26.55, 37
36.52, 45
42.57, 27
53.65, 22

---

No. 2
Theoretical XRD peak list
Compound: UO3
Radiation: λ = 1.5418 Å (Cu Kα)
Structure: the PBE geometry in the Materials Project
No peak broadening, texture or thermal motion is included.

Structure:
Unit cell a=4.1648 b=4.1648 c=4.1648 alpha=90.00 beta=90.00 gamma=90.00
Atoms (fractional coordinates):
U1 0.0000 0.0000 0.0000
O1 0.0000 0.0000 0.5000
O2 0.0000 0.5000 0.0000
O3 0.5000 0.0000 0.0000

Most intense lines, 2θ from 10° to 90°, in order of rising 2θ:
2θ/deg, I_rel
21.33, 100
30.35, 62
43.46, 20
48.90, 45
53.93, 27
67.46, 22

---

No. 3
Theoretical XRD peak list
Compound: UO3
Radiation: λ = 1.5418 Å (Cu Kα)
Structure: the PBE geometry in the Materials Project
No peak broadening, texture or thermal motion is included.

Structure:
Unit cell a=4.0746 b=14.5100 c=10.4861 alpha=90.00 beta=97.48 gamma=90.00
Atoms (fractional coordinates):
U1 0.0026 0.0000 0.0014
U2 0.1602 0.2358 0.3430
U3 0.2017 0.2520 0.8015
U4 0.3447 0.5160 0.6656
U5 0.3854 0.9759 0.6992
U6 0.6146 0.4759 0.3008
U7 0.6553 0.0160 0.3344
U8 0.7983 0.7520 0.1985
U9 0.8398 0.7358 0.6570
U10 0.9974 0.5000 0.9986
O1 0.0043 0.3842 0.9243
O2 0.0177 0.1187 0.9390
O3 0.0926 0.4550 0.2278
O4 0.0971 0.2404 0.1706
O5 0.1527 0.0534 0.3279
O6 0.1982 0.7441 0.2976
O7 0.2248 0.2359 0.5160
O8 0.2964 0.4960 0.4720
O9 0.3094 0.3791 0.7009
O10 0.3385 0.6628 0.6505
O11 0.3519 0.1046 0.7177
O12 0.3561 0.8448 0.6577
O13 0.4229 0.5304 0.8604
O14 0.4525 0.7546 0.0733
O15 0.4613 0.9755 0.9102
O16 0.5387 0.4755 0.0898
O17 0.5475 0.2546 0.9267
O18 0.5771 0.0304 0.1396
O19 0.6439 0.3448 0.3423
O20 0.6481 0.6046 0.2823
O21 0.6615 0.1628 0.3495
O22 0.6906 0.8791 0.2991
O23 0.7036 0.9960 0.5280
O24 0.7752 0.7359 0.4840
O25 0.8018 0.2441 0.7024
O26 0.8473 0.5534 0.6721
O27 0.9029 0.7404 0.8294
O28 0.9074 0.9550 0.7722
O29 0.9823 0.6187 0.0610
O30 0.9957 0.8842 0.0757

Most intense lines, 2θ from 10° to 90°, in order of rising 2θ:
2θ/deg, I_rel
18.13, 49
24.54, 86
25.71, 33
27.60, 43
28.54, 33
28.92, 100

---

No. 4
Theoretical XRD peak list
Compound: U4O7
Radiation: λ = 1.5418 Å (Cu Kα)
Structure: the PBE geometry in the Materials Project
No peak broadening, texture or thermal motion is included.

Structure:
Unit cell a=6.6514 b=6.6514 c=10.8536 alpha=114.03 beta=114.03 gamma=48.54
+++

Malware attacks represent significant threats to organizations, which use a variety of approaches to protect against them. Examples include intrusion detection systems, intrusion prevention systems, and other security systems that run on general-purpose computers. Such schemes perform "deep packet inspection" (DPI), a process by which a security device protecting an organization thoroughly examines incoming traffic and alerts administrators about suspicious activities. While DPI may be effective in some scenarios, it requires significant processing. Furthermore, if the organization receives a high volume of traffic from the Internet, DPI may not keep up with the traffic and may only inspect a fraction of it. Additionally, the inspection may not be conducted in real-time and may only detect the malware after the attack.

This project proposes to leverage the capability of P4 programmable data plane (PDP) switches and smartNICs to perform DPI. The project has four objectives. 1) Develop a malware detection and classification application running on PDPs, operating at line rate. The application will perform DPI of Domain Name System (DNS) packets, preventing malware from communicating with the corresponding C2 server. Traffic will be monitored in real-time, and functions commonly executed on general-purpose CPUs will be offloaded to PDPs. The plan includes analyzing DNS data, characterizing traffic patterns, and feeding such information to a machine learning (ML) algorithm. The ML algorithm will detect and classify malware according to their family (e.g., trojan, backdoor, ransomware). 2) Develop a malware detection and classification application running on a SmartNIC, for encrypted DNS packets. Research will be conducted to perform feature extraction for malware generating such packets. An ML algorithm will use the features to detect and classify the malware. 3) Develop a control application that shares threat intelligence and avoids malware propagation. As PDP switches and smartNIC detect malware, they share the threat intelligence with a centralized controller. 4) Expand the eX-IoT platform to fingerprint, store, and index newly detected and classified malware. The eX-IoT platform is a real-time platform for fingerprinting compromised devices on the Internet. The prototype running on PDPs and smart NICs will be built with open-source components available to the community, and the developed knowledge will be disseminated by synthesizing it as virtual lab libraries for courses and self-paced learning. The libraries will be distributed to colleges and universities. Finally, tutorials on malware detection and PDPs will be organized with organizations such as Internet2 and FABRIC.

NSF 2346726: CC* Integration-Small: Enhancing Data Transfers by Enabling Programmability and Closed-loop Control in a Non-programmable Science DMZ

  • NSF Org: OAC Office of Advanced Cyberinfrastructure (OAC)
  • Award Number: 2346726
  • Start Date: July 1, 2024
  • End Date: June 30, 2026
  • Awarded Amount to Date: $500,000.00
  • Investigator(s): Jorge Crichigno (Principal Investigator), Andreas Heyden (Co-Principal Investigator), Paul Sagona (Co-Principal Investigator), Elie Kfoury (Co-Principal Investigator)
  • Sponsor: University of South Carolina at Columbia
  • NSF Program(s): CISE Research Resources, Campus Cyberinfrastructure, EPSCoR Co-Funding
  • Link to Official Webpage: NSF-2346726

Programmable data plane (PDP) switches have recently attracted significant attention from the communications industry. They are network devices that provide unprecedented visibility of events occurring in data networks and enable engineers to write software applications using the P4 programming language. The applications leverage the visibility and performance capacity of PDP switches, where applications can run orders of magnitude faster than those running on general-purpose computers. This project will deploy a "self-driving" network referred to as Science DMZ at the University of South Carolina (USC), using P4 applications running on PDP switches. The enhanced network will support science and engineering projects that foster the progress of science. Specifically, it will enable faculty members, researchers, and students to transfer big science data more efficiently within USC's campus and with external collaborators such as U.S. Department of Energy's laboratories (e.g., Savannah River, Argonne), national computing centers (e.g., San Diego Supercomputer Center, National Energy Research Scientific Computing Center), and international organizations (e.g., European Organization for Nuclear Research CERN). 

This project proposes to leverage the capability of P4 programmable data plane (PDP) switches and smartNICs to perform DPI. The project has four objectives. 1) Develop a malware detection and classification application running on PDPs, operating at line rate. The application will perform DPI of Domain Name System (DNS) packets, preventing malware from communicating with the corresponding C2 server. Traffic will be monitored in real-time, and functions commonly executed on general-purpose CPUs will be offloaded to PDPs. The plan includes analyzing DNS data, characterizing traffic patterns, and feeding such information to a machine learning (ML) algorithm. The ML algorithm will detect and classify malware according to their family (e.g., trojan, backdoor, ransomware). 2) Develop a malware detection and classification application running on a SmartNIC, for encrypted DNS packets. Research will be conducted to perform feature extraction for malware generating such packets. An ML algorithm will use the features to detect and classify the malware. 3) Develop a control application that shares threat intelligence and avoids malware propagation. As PDP switches and smartNIC detect malware, they share the threat intelligence with a centralized controller. 4) Expand the eX-IoT platform to fingerprint, store, and index newly detected and classified malware. The eX-IoT platform is a real-time platform for fingerprinting compromised devices on the Internet. The prototype running on PDPs and smart NICs will be built with open-source components available to the community, and the developed knowledge will be disseminated by synthesizing it as virtual lab libraries for courses and self-paced learning. The libraries will be distributed to colleges and universities. Finally, tutorials on malware detection and PDPs will be organized with organizations such as Internet2 and FABRIC.